Robert Bevan Morning over the Ploughed Fields c.1904
Robert Bevan,
Morning over the Ploughed Fields
Bevan painted this work in Poland where he often stayed with the family of his wife, Stanislawa de Karlowska. Vague blue trees dot a horizon line set back into the distance under morning sky daubed with pink. The use of strong colour, lack of figurative detail and fluid brushstrokes reflect his study of post-impressionism.
Robert Bevan 1865–1925
Morning over the Ploughed Fields
Oil paint on canvas mounted on hardboard
222 x 278 mm
Purchased 1969
Oil paint on canvas mounted on hardboard
222 x 278 mm
**Misplaced data records**
- - -
[1]
# HoErNiAu
Calculated XRD peak list, CuKα. Input: DFT lattice parameters and positions (GGA-PBE).
No peak broadening, texture or thermal motion is included.

Most intense lines, 2θ from 5° to 70°, in order of falling intensity:
- (1 1 1), 32.4°, I = 100
- (1 1 3), 40.8°, I = 60
- (2 0 0), 40.2°, I = 31
- (0 1 3), 35.3°, I = 28
- (0 0 4), 34.4°, I = 25
- (1 0 4), 40.0°, I = 24

Structural model:
a = 4.488 Å, b = 3.719 Å, c = 10.438 Å
α = 90.00°, β = 90.00°, γ = 90.00°
Space group Amm2 (No. 38)
Symmetry-distinct sites (fractional):
Ho 0.000 0.000 0.000
Er 0.500 0.000 0.280
Ni 0.500 0.000 0.556
Au 0.000 0.000 0.718

---

[2]
# ErIn3Au2
Calculated XRD peak list, CuKα. Input: DFT lattice parameters and positions (GGA-PBE).
No peak broadening, texture or thermal motion is included.

Most intense lines, 2θ from 5° to 70°, in order of falling intensity:
- (1 1 2), 33.3°, I = 100
- (1 3 1), 39.8°, I = 48
- (1 2 1), 31.7°, I = 44
- (2 0 0), 41.0°, I = 41
- (0 2 3), 42.4°, I = 31
- (1 3 0), 37.8°, I = 22

Structural model:
a = 4.398 Å, b = 8.485 Å, c = 7.407 Å
α = 90.00°, β = 90.00°, γ = 90.00°
Space group Pmc2_1 (No. 26)
Symmetry-distinct sites (fractional):
Er 0.000 0.076 0.000
In 0.000 0.308 0.618
In 0.500 0.199 0.333
In 0.500 0.406 0.939
Au 0.000 0.380 0.219
Au 0.500 0.111 0.716

---

[3]
# Er4InAu3
Calculated XRD peak list, CuKα. Input: DFT lattice parameters and positions (GGA-PBE).
No peak broadening, texture or thermal motion is included.

Most intense lines, 2θ from 5° to 70°, in order of falling intensity:
- (1 1 2), 35.2°, I = 100
- (0 2 0), 35.0°, I = 50
- (1 3 2), 63.0°, I = 36
- (2 2 0), 63.2°, I = 18
- (0 2 4), 50.4°, I = 18
- (2 0 0), 50.8°, I = 9

Structural model:
a = 3.593 Å, b = 5.122 Å, c = 10.241 Å
α = 90.00°, β = 90.00°, γ = 90.00°
Space group Pmmm (No. 47)
Symmetry-distinct sites (fractional):
Er 0.000 0.000 0.000
Er 0.000 0.000 0.500
Er 0.000 0.500 0.238
In 0.500 0.500 0.500
Au 0.500 0.000 0.257
Au 0.500 0.500 0.000

---

[4]
# YErInAu
Calculated XRD peak list, CuKα. Input: DFT lattice parameters and positions (GGA-PBE).
No peak broadening, texture or thermal motion is included.

Most intense lines, 2θ from 5° to 70°, in order of falling intensity:
- (1 0 2), 34.2°, I = 100
- (1 1 0), 35.3°, I = 48
- (2 1 2), 62.6°, I = 35
- (0 0 1), 11.6°, I = 19
- (1 1 4), 60.5°, I = 18
- (2 0 0), 50.7°, I = 17

Structural model:
a = 3.600 Å, b = 3.600 Å, c = 7.651 Å
α = 90.00°, β = 90.00°, γ = 90.00°
Space group P4mm (No. 99)
Symmetry-distinct sites (fractional):
Y 0.000 0.000 0.000
Er 0.000 0.000 0.463
In 0.500 0.500 0.730
Au 0.500 0.500 0.244

---

[5]
# Er8Ir3Au2
Calculated XRD peak list, CuKα. Input: DFT lattice parameters and positions (GGA-PBE).
No peak broadening, texture or thermal motion is included.

Most intense lines, 2θ from 5° to 70°, in order of falling intensity:
- (2 0 2), 36.9°, I = 100
- (0 2 0), 37.2°, I = 20
- (5 1 1), 66.5°, I = 14
- (3 3 -1), 66.9°, I = 14
- (2 2 2), 53.5°, I = 14
- (2 0 0), 22.3°, I = 9
- - -
**Back to the piece**
Purchased 1969
Ownership history
Inherited by Stanislawa de Karlowksa (1876–1952), the artist’s wife; given in the 1920s to their son, Robert Alexander Bevan (1901–1974), by whom sold to D’Offay Couper Gallery, London, before or in 1969, where purchased by Tate Gallery 1969.
Inserted here: data records:
........
# 1
The following is a simulated X-ray powder pattern of MgTi4Zn2O10. It was derived from the PBE geometry in the Materials Project, using Cu Ka.
Lines closer than 0.1° are merged.

Crystal structure
```
data_MgTi4Zn2O10
_chemical_formula_sum 'Mg1 Ti4 Zn2 O10'
_symmetry_space_group_name_H-M 'P m m 2'
_symmetry_Int_Tables_number 25
_cell_length_a 3.3450
_cell_length_b 12.4369
_cell_length_c 6.9781
_cell_angle_alpha 90.00
_cell_angle_beta 90.00
_cell_angle_gamma 90.00
loop_
_symmetry_equiv_pos_as_xyz
'x,y,z'
'-x,-y,z'
'-x,y,z'
'x,-y,z'
loop_
_atom_site_label
_atom_site_type_symbol
_atom_site_fract_x
_atom_site_fract_y
_atom_site_fract_z
Mg1 Mg 0.0000 0.0000 0.0000
Ti1 Ti 0.0000 0.3599 0.3839
Ti2 Ti 0.5000 0.1444 0.3196
Zn1 Zn 0.0000 0.0000 0.6414
Zn2 Zn 0.5000 0.5000 0.6692
O1 O 0.0000 0.1836 0.4268
O2 O 0.0000 0.3966 0.6371
O3 O 0.0000 0.5000 0.2943
O4 O 0.5000 0.0000 0.4234
O5 O 0.5000 0.1043 0.0795
O6 O 0.5000 0.3169 0.2868
```

Principal peaks in the range 2θ = 10–90°, low angle first:
- hkl 0 0 1, 2θ 12.69, I 100
- hkl 0 2 0, 2θ 14.24, I 22
- hkl 0 2 1, 2θ 19.12, I 34
- hkl 0 2 2, 2θ 29.35, I 16
- hkl 1 1 1, 2θ 30.50, I 35
- hkl 0 4 1, 2θ 31.50, I 19
- hkl 1 3 0, 2θ 34.45, I 20
- hkl 1 1 2, 2θ 37.96, I 16
- hkl 0 0 3, 2θ 38.74, I 23
- hkl 1 3 3, 2θ 52.79, I 15

# 2
The following is a simulated X-ray powder pattern of Na3ZrF7. It was derived from the PBE geometry in the Materials Project, using Cu Ka.
Lines closer than 0.1° are merged.

Crystal structure
```
data_Na3ZrF7
_chemical_formula_sum 'Na6 Zr2 F14'
_symmetry_space_group_name_H-M 'C 1 m 1'
_symmetry_Int_Tables_number 8
_cell_length_a 7.7882
_cell_length_b 7.7618
_cell_length_c 6.3385
_cell_angle_alpha 90.00
_cell_angle_beta 124.34
_cell_angle_gamma 90.00
loop_
_symmetry_equiv_pos_as_xyz
'x,y,z'
'x,-y,z'
'x+1/2,y+1/2,z'
'x+1/2,-y+1/2,z'
loop_
_atom_site_label
_atom_site_type_symbol
_atom_site_fract_x
_atom_site_fract_y
_atom_site_fract_z
Na1 Na 0.0000 0.0000 0.0000
Na2 Na 0.0142 0.2670 0.5416
Zr1 Zr 0.4593 0.0000 0.0031
F1 F 0.1314 0.0000 0.7499
F2 F 0.1549 0.3169 0.2751
F3 F 0.1639 0.5000 0.8882
F4 F 0.3591 0.0000 0.2522
F5 F 0.3795 0.2293 0.7924
```

Principal peaks in the range 2θ = 10–90°, low angle first:
- hkl 0 0 1, 2θ 16.94, I 52
- hkl 1 1 0, 2θ 17.91, I 100
- hkl 1 1 -1, 2θ 18.56, I 66
- hkl 2 0 -1, 2θ 22.89, I 32
- hkl 2 0 0, 2θ 27.75, I 29
- hkl 0 2 1, 2θ 28.64, I 99
- hkl 2 0 -2, 2θ 29.44, I 47
- hkl 4 0 -2, 2θ 46.78, I 51
- hkl 2 2 1, 2θ 46.92, I 49
- hkl 2 2 -3, 2θ 49.11, I 44

# 3
The following is a simulated X-ray powder pattern of TaBeO3. It was derived from the PBE geometry in the Materials Project, using Cu Ka.
Lines closer than 0.1° are merged.

Crystal structure
```
data_TaBeO3
_chemical_formula_sum 'Ta1 Be1 O3'
_symmetry_space_group_name_H-M 'P m -3 m'
_symmetry_Int_Tables_number 221
_symmetry_space_group_name_Hall '-P 4 2 3'
_cell_length_a 3.4216
_cell_length_b 3.4216
_cell_length_c 3.4216
_cell_angle_alpha 90.00
_cell_angle_beta 90.00
_cell_angle_gamma 90.00
loop_
........
Exhibition history
Robert Bevan: Early Paintings 1895–1908, D’Offay Couper Gallery, London, April–May 1969 (8, reproduced).
Technique and condition
Morning over the Ploughed Fields is painted in artists’ oil paints on canvas applied on board. The canvas appears to be plain weave linen and has been prepared with white priming. Pin holes and semi-circular marks in the paint in the top corners of the canvas suggest it was pinned to a board, with drawing pins, while the paint layers were still drying. There is no indication that the canvas was ever stretched after painting, the canvas appears to have been cut to its present size and stuck directly down onto the smooth face of a 4mm thick hardboard panel. The ‘Bevan’ studio stamp has been applied on the back of the hardboard (see also Tate N05911).
Crystal structures, as found in the file
┌──
# Cs2Ga2Sn2H
Simulated powder diffraction line list, Cu Kα, 1.54184 Å. Input: a DFT-relaxed cell (GGA-PBE, Alexandria).

Crystal structure
Unit cell a=4.6545 b=7.1664 c=7.6268 alpha=100.79 beta=104.80 gamma=105.54
Space group P-1 (No. 2)
One atom of each set of equivalent atoms:
Cs  0.2446  0.3024  0.1766 (multiplicity 2)
Ga  0.0364  0.7500  0.4237 (multiplicity 2)
Sn  0.4528  0.1100  0.6967 (multiplicity 2)
H  0.0000  0.5000  0.5000 (multiplicity 1)

Peak list (12 most intense, 15° ≤ 2θ ≤ 90°, sorted by position)
h k l, d/Å, Position (°2θ), I (rel.)
0 1 -2, 3.560, 25.0, 51.9
1 -1 1, 3.444, 25.9, 72.9
0 2 -1, 3.384, 26.3, 54.2
0 2 0, 3.320, 26.9, 40.8
1 0 -2, 3.294, 27.1, 100.0
1 1 0, 3.134, 28.5, 72.8
1 1 -2, 2.948, 30.3, 42.6
1 -2 1, 2.922, 30.6, 67.5
-1 2 1, 2.877, 31.1, 42.8
0 1 2, 2.822, 31.7, 73.7
-2 1 1, 2.318, 38.9, 54.1
1 -1 3, 1.950, 46.6, 43.7

=====

# GaFe4Sb12
Simulated powder diffraction line list, Cu Kα, 1.54184 Å. Input: a DFT-relaxed cell (GGA-PBE, Alexandria).

Crystal structure
Unit cell a=9.1948 b=9.1948 c=9.1948 alpha=90.00 beta=90.00 gamma=90.00
Space group Im-3 (No. 204)
One atom of each set of equivalent atoms:
Ga  0.0000  0.0000  0.0000 (multiplicity 2)
Fe  0.2500  0.2500  0.2500 (multiplicity 8)
Sb  0.0000  0.3321  0.1606 (multiplicity 24)

Peak list (12 most intense, 15° ≤ 2θ ≤ 90°, sorted by position)
h k l, d/Å, Position (°2θ), I (rel.)
3 0 1, 2.908, 30.8, 100.0
3 1 2, 2.457, 36.6, 46.3
4 2 0, 2.056, 44.0, 16.7
3 3 2, 1.960, 46.3, 6.9
4 2 2, 1.877, 48.5, 19.6
4 3 1, 1.803, 50.6, 20.3
5 3 0, 1.577, 58.5, 20.7
6 0 0, 1.532, 60.4, 10.6
5 2 3, 1.492, 62.2, 7.2
6 1 3, 1.356, 69.3, 18.2
7 3 0, 1.207, 79.4, 6.8
6 5 3, 1.099, 89.1, 9.2

=====

# Ag4HBr5
Simulated powder diffraction line list, Cu Kα, 1.54184 Å. Input: a DFT-relaxed cell (GGA-PBE, Alexandria).

Crystal structure
Unit cell a=4.4440 b=4.4440 c=51.4185 alpha=90.00 beta=90.00 gamma=120.00
Space group R3m (No. 160, hexagonal axes)
One atom of each set of equivalent atoms:
Ag  0.0000  0.0000  0.0000 (multiplicity 3)
Ag  0.0000  0.0000  0.1885 (multiplicity 3)
Ag  0.0000  0.0000  0.5940 (multiplicity 3)
Ag  0.0000  0.0000  0.7828 (multiplicity 3)
H  0.0000  0.0000  0.3807 (multiplicity 3)
Br  0.0000  0.0000  0.1373 (multiplicity 3)
Br  0.0000  0.0000  0.3510 (multiplicity 3)
Br  0.0000  0.0000  0.5428 (multiplicity 3)
Br  0.0000  0.0000  0.7320 (multiplicity 3)
Br  0.0000  0.0000  0.9485 (multiplicity 3)

Peak list (12 most intense, 15° ≤ 2θ ≤ 90°, sorted by position)
h k l, d/Å, Position (°2θ), I (rel.)
0 0 12, 4.285, 20.7, 8.8
0 1 5, 3.604, 24.7, 100.0
0 0 15, 3.428, 26.0, 17.4
0 1 17, 2.378, 37.8, 26.2
1 1 0, 2.222, 40.6, 52.6
0 1 20, 2.138, 42.3, 21.5
1 0 22, 1.998, 45.4, 17.3
2 0 5, 1.891, 48.1, 15.7
1 1 15, 1.864, 48.8, 18.5
1 2 5, 1.440, 64.7, 12.5
1 0 37, 1.307, 72.3, 8.1
3 0 0, 1.283, 73.9, 8.5

=====

# Cs3Na2Hg8
Simulated powder diffraction line list, Cu Kα, 1.54184 Å. Input: a DFT-relaxed cell (GGA-PBE, Alexandria).

Crystal structure
└──
The painting has the immediacy and freshness of a sketch executed in situ. The rectangular shape within which the main part of the image is painted is roughly sketched in pencil onto the primed canvas prior to painting. There is no other preliminary drawing underlying the landscape. The rich, fluid paint was applied rapidly in predominantly horizontal strokes using a relatively large brush for the small size of the canvas. In many areas, such as the foreground, the priming is left visible between the brushstrokes. The paint retains the texture of the brush with its delicate peaked impastos that enhance the sense of light and texture in the sketch. The bright colours are sometimes intermixed on the canvas where they were applied wet-in-wet.
A soft resin varnish was applied, which collected in the hollows of the paint texture and now has a slight yellow colour. There is no varnish on the board or edges of the canvas, indicating that it was possibly applied before the canvas was cut and marouflaged (see also Tate N04750).
Roy Perry
December 2003
How to cite
Roy Perry, 'Technique and Condition', December 2003, in Robert Upstone, ‘Morning over the Ploughed Fields c.1904 by Robert Bevan’, catalogue entry, May 2009, in Helena Bonett, Ysanne Holt, Jennifer Mundy (eds.), The Camden Town Group in Context, Tate Research Publication, May 2012, https://wwwEntry
In July 1897 Bevan attended the wedding in Jersey of his friend Eric Forbes-Robertson (1865–1935). Forbes-Robertson was marrying Janina Flamm, a Polish art student who had attended the Académie Julian. Her bridesmaid was Stanislawa de Karlowska, another student at Julian’s, although she and Janina attended the school after Bevan had left. Bevan immediately fell in love with Karlowska. It is apparent that he must have made his feelings known while they were still in Jersey for, after she had returned home to her native Poland, on 25 July Bevan wrote the first of a series of passionate letters he sent to her that summer.1 Neither spoke the other’s language and so the correspondence courtship was conducted in French. On 24 September Bevan wrote to her that he was starting for Paris, and from there he would travel onwards to her father’s estate at Szeliwy, near Lowicz in Central Poland, then under Russian control. It was a long journey, and Bevan only ‘found his way with some difficulty’;2 but by October or early November Bevan appears to have arrived. By 12 November, when Bevan’s mother wrote to congratulate Karlowska, the couple was engaged, and they were married in Warsaw on 9 December 1897.3

The Karlowski family estate at Szeliwy, near Lowicz in Russian-occupied Poland c.1897/1899 from left to right: unknown man, Robert Bevan, Stanislawa de Karlowska, Stanislawa's father Aleksander Prawdzic-Karlowski, Stanislawa's sisters Halina and Julia
Courtesy of Patrick Baty
The Karlowski family estate at Szeliwy, near Lowicz in Russian-occupied Poland c.1897/1899 from left to right: unknown man, Robert Bevan, Stanislawa de Karlowska, Stanislawa's father Aleksander Prawdzic-Karlowski, Stanislawa's sisters Halina and Julia
Courtesy of Patrick Baty
Karlowska’s family at Szeliwy was described by the Bevans’ son as ‘squirearchs’:
They had substantial estates, but they were not absentee landlords; they farmed the land themselves. They bred horses and cattle for themselves and for sale; they had their own water-mills, their own small forests and sawmills. They ate their own meat, poultry and game ... There was not very much flow of cash. My mother’s family lived in what was then Russian territory, but social life was entirely apart from the Russians. Polish landlords were, however, always subject to sudden police raids, especially when a family had a history of patriotic activity. My mother’s father ... endangered his life and suffered considerable financial loss through the part he played in the Polish rebellion of 1863.4
The couple settled in England, living first with Bevan’s parents at Horsgate in Sussex and then moving to Brighton and then in 1900 to London. Bevan went on painting trips in Poland staying with Karlowska’s family in 1899, 1901, 1903, 1904, 1907, 1909 and 1910 (fig.1). ‘During these years,’ their son wrote,
Bevan developed a strong feeling for Poland and the Poles. But the life in Poland which Bevan shared with his wife’s family was a country kind of life he had not previously known intimately ... One can say that Poland wakened in my father a very intense affection, a romantic sympathy that is reflected in much of his work of these early years. He was never happier than when he was working in Poland and living among Poles.5
On these visits Bevan filled seven sketchbooks, now in the Ashmolean Museum, Oxford,6 and made independent crayon drawings. He also made a number of oil sketches painted directly in the open air, of which Morning over the Ploughed Fields is an example. Painted loosely, using fluid strokes of the brush, this is likely to show land on Karlowska’s family estate. Nearly empty of almost all meaningful detail, there is an almost Whistlerian sparseness to the design, but the bold colour scheme is entirely the product of Bevan’s study of impressionism. There is a similarity in the banding of colours to the landscapes made at Pont-Aven by the Irish painter Roderic O’Conor, who was there at the same time as Bevan and whom he is likely to have met. But O’Conor’s landscapes, such as Tate’s Yellow Landscape 1892 (Tate T02113, fig.2) from this time, were usually painted in a slightly harder edged, more rigidly defined style. Bevan’s more liquid handling has more affinity with the work of impressionists such as Claude Monet or Alfred Sisley. Blue trees mark the horizon, while an area of yellow at the left centre indicates a barn. The pink clouds indicate that this is a dawn scene. Along the horizon there are ridges of paint where the brush has hesitated, to create a deliberate rhythm. There is a visible pencil border around the canvas, as if it is bigger than the framed area.

Roderic O'Conor 1860–1940
Yellow Landscape 1892
Oil on canvas
support: 676 x 918 mm; frame: 930 x 1168 x 105 mm
Tate T02113
Presented by Mr and Mrs Barnett Shine through the Friends of the Tate Gallery 1977
Roderic O'Conor
Yellow Landscape 1892
Tate T02113
Robert A. Bevan, the artist’s son, believed that Morning over the Ploughed Fields must date from either his father’s 1901 or 1903 Polish trip, but that ‘stylistically it seems more likely to be 1901’.7 A similar landscape study entitled The Purple Field, Poland (private collection)8 is dated to this year, although the manner of execution is more formal. Robert A. Bevan’s rationale for dating the Polish pictures is the age of the child in The Gate at Szeliwy (private collection),9 which depicts Karlowska holding the hand of their daughter Edith born in 1898. The adventurous palette of Morning over the Ploughed Fields is highly unusual and advanced. None of the Fauves were using such strong colouring at such an early date, although O’Conor and other artists at Pont-Aven were. The rationale for this chronology, however, could potentially be flawed; one possibility is that the child in The Gate at Szeliwy is not Edith Bevan but Robert Alexander Bevan himself, wearing a knee-length dress of the type common to Edwardian male children. He was born in 1901, and this would date The Gate at Szeliwy to 1904–5 if the child depicted was around three years old. This is a far more acceptable date on stylistic grounds and would apparently come from the visit to Poland of that year. Another alternative is that it is a different child altogether.
During the early years of the new century Bevan’s style varied quite markedly and he seems to have been experimenting or searching for a consistent approach. This is evident in the pictures deriving from his visits to Poland; in Polish Landscape 1901 (private collection)10 he adopts short, distinct brushstrokes which recall the work of Monet or Pissarro. In The Courtyard of 1904 (private collection)11 he returns to a rich, sensuous version of synthetism reminiscent of Gauguin or, more closely, his friend Eric Forbes-Robertson; while in The Smithy at Szeliwy No.2 c.1906–7 (private collection)12 he adopted a divisionist technique.
In 1905 at the age of forty, Bevan held his first solo exhibition, at the small and not particularly prestigious Baillie Gallery in Bayswater. The show consisted entirely of Polish paintings and drawings, although Morning over the Ploughed Fields was not shown. The reception was disappointing, with most of the small number of press reviews being negative. The Glasgow Herald wrote of Bevan somewhat disparagingly that ‘compared to some of his works in oil where he seems to reconcile violent greens, yellows and reds ... even the most Monetesque of Monets must appear reticent’.13 The bright colours of The Courtyard were dubbed ‘garish’ by Black and White, which complained the picture had ‘an evil habit of losing control over itself’.14 But the more prestigious Studio had a favourable response and six months later reproduced two of Bevan’s watercolours, one as a colour plate.15 ‘I think the years of loneliness and neglect’, Robert A. Bevan wrote, ‘had their effect on my father’s temperament. They made him more shy, more reserved, more reluctant to fight the battle of selling. But they did not destroy his courage or his power of working out problems for himself.’16
Robert Upstone
May 2009
Related biographies
How to cite
Robert Upstone, ‘Morning over the Ploughed Fields c.1904 by Robert Bevan’, catalogue entry, May 2009, in Helena Bonett, Ysanne Holt, Jennifer Mundy (eds.), The Camden Town Group in Context, Tate Research Publication, May 2012, https://www